How to choose the right planting site for a hardy fig tree?

Posted by Miroslav Gavalec 20pm31UTC_f2023Sun, 20 Aug 2023 23:27:55 +000008pm31_55112023Sun, 20 Aug 2023 23:27:55 +000031 0 Comment(s) How to Grow,

A fig tree thriving in the middle of an urban heat island in the Dlhé Diely housing estate in Bratislava


The fig tree is easy to grow and care for, but choosing the right place for planting is the key to success. When choosing the right planting site for a hardy fig tree, consider the following factors:


1. Climate

Fig trees grow successfully wherever vines grow. The planting site must provide full sunlight for at least 6-8 hours a day. If you live outside the vine growing area, you can still grow a fig tree in a pot, just choose the right compact variety.

2. Soil

Fig trees can adapt to a variety of soil types, but thrive in well-drained loamy soil. Avoid heavy clay soil that holds water, as excess moisture can cause root rot.


3. Size of the mature fig tree

## Records of crystals, as found in the file
********
[1]
Entry from Alexandria via LeMat-Bulk: an optimized crystal structure of YCdIn3 (GGA-PBE).

a b c (Å): 5.4002 5.4002 5.4002
angles (deg): 90.00 90.00 90.00
Space group Pm-3m (No. 221)
Asymmetric unit:
Y: 0.0000 0.0000 0.0000 (multiplicity 1)
Cd: 0.5000 0.5000 0.5000 (multiplicity 1)
In: 0.0000 0.5000 0.5000 (multiplicity 3)

Output
The value obtained for the energy relative to the elements is 156 kJ/mol of formula units. Its crystal system is cubic. As for the calculated density: 5.75 Mg/m³.

=====

[2]
Entry from Alexandria via LeMat-Bulk: an optimized crystal structure of YCdIn4 (GGA-PBE).

a b c (Å): 8.6173 8.6173 8.6173
angles (deg): 90.00 90.00 90.00
Space group F-43m (No. 216)
Asymmetric unit:
Y: 0.0000 0.0000 0.0000 (multiplicity 4)
Cd: 0.2500 0.2500 0.7500 (multiplicity 4)
In: 0.1248 0.1248 0.3752 (multiplicity 16)

Output
The value obtained for the energy relative to the elements is -21 kJ/mol of formula units. Its crystal system is cubic. As for the calculated density: 6.86 Mg/m³.

=====

[3]
Entry from Alexandria via LeMat-Bulk: an optimized crystal structure of YCd4In (GGA-PBE).

a b c (Å): 8.3882 8.3882 8.3882
angles (deg): 90.00 90.00 90.00
Space group F-43m (No. 216)
Asymmetric unit:
Y: 0.0000 0.0000 0.0000 (multiplicity 4)
Cd: 0.1254 0.1254 0.6254 (multiplicity 16)
In: 0.2500 0.2500 0.2500 (multiplicity 4)

Output
The value obtained for the energy relative to the elements is -61 kJ/mol of formula units. Its crystal system is cubic. As for the calculated density: 7.35 Mg/m³.

=====

[4]
Entry from Alexandria via LeMat-Bulk: an optimized crystal structure of Y2Cd3In2 (GGA-PBE).

a b c (Å): 11.2187 4.6841 7.2118
angles (deg): 90.00 111.95 90.00
Space group C2/m (No. 12)
Asymmetric unit:
Y: 0.1492 0.0000 0.2663 (multiplicity 4)
Cd: 0.0000 0.5000 0.5000 (multiplicity 2)
Cd: 0.0989 0.5000 0.9300 (multiplicity 4)
In: 0.1521 0.0000 0.7260 (multiplicity 4)

Output
The value obtained for the energy relative to the elements is -207 kJ/mol of formula units. Its crystal system is monoclinic. As for the calculated density: 7.04 Mg/m³.
********

When choosing a planting site, consider the size the fig tree is capable of reaching. Make sure it has enough room to grow, as limiting factors will reduce yield.


4. Protection from cold winds

Although hardy fig trees can withstand colder temperatures, it is still beneficial to protect them from harsh winds and extreme frost. Choose a location that is protected from strong winds, such as a hedge, a south-facing wall, or any building.


5. Irrigation

Older fig trees planted in open ground can survive periods of drought without damage. For freshly planted figs, it is necessary to have a water source ready at the planting site for regular irrigation until the plant is sufficiently rooted.


6. Accessibility

These materials data were left in the page by mistake.
Record 1
Na2AgAuCl6: relaxed, GGA-PBE.

Cell and atoms, written as POSCAR:
```
Na2AgAuCl6
1.0
-3.557 3.557 5.453
3.557 -3.557 5.453
3.557 3.557 -5.453
Ag Au Cl Na
1 1 6 2
direct
0.500 0.500 0.000
0.000 0.000 0.000
0.766 0.234 0.000
0.278 0.278 0.000
0.722 0.722 0.000
0.234 0.766 0.000
0.234 0.234 0.468
0.766 0.766 0.532
0.750 0.250 0.500
0.250 0.750 0.500
```

Values from the calculation:
DFT total energy	-28.0	eV per cell
ρ	3.39	g/cm3

***

Record 2
Hf4TlPbC2: relaxed, GGA-PBE.

Cell and atoms, written as POSCAR:
```
Hf4TlPbC2
1.0
3.359 0.000 0.000
-1.680 2.909 0.000
0.000 0.000 14.781
C Hf Pb Tl
2 4 1 1
direct
0.667 0.333 0.250
0.667 0.333 0.750
0.333 0.667 0.169
0.000 0.000 0.331
0.000 0.000 0.669
0.333 0.667 0.831
0.000 0.000 0.000
0.333 0.667 0.500
```

Values from the calculation:
DFT total energy	-69.4	eV per cell
ρ	13.22	g/cm3

***

Record 3
BaNpMo: relaxed, GGA-PBE.

Cell and atoms, written as POSCAR:
```
BaNpMo
1.0
0.000 3.339 3.339
3.339 0.000 3.339
3.339 3.339 0.000
Ba Mo Np
1 1 1
direct
0.000 0.000 0.000
0.750 0.750 0.750
0.250 0.250 0.250
```

Values from the calculation:
energy relative to the lowest polymorph listed for this composition	0.652	eV/atom
DFT total energy	-19.3	eV per cell
ρ	10.49	g/cm3

***

Record 4
HfCoHgGe: relaxed, GGA-PBE.

Cell and atoms, written as POSCAR:
```
HfCoHgGe
1.0
-3.127 0.721 3.291
-4.003 2.010 -1.033
-3.886 -2.454 0.055
Co Ge Hf Hg
1 1 1 1
direct
0.750 0.750 0.750
0.000 0.000 0.000
0.250 0.250 0.250
0.500 0.500 0.500
```

Values from the calculation:
energy relative to the lowest polymorph listed for this composition	0.000	eV/atom
DFT total energy	-21.6	eV per cell
ρ	12.35	g/cm3

***

Record 5
TaCdCuSi: relaxed, GGA-PBE.

Cell and atoms, written as POSCAR:
```
TaCdCuSi
1.0
0.807 -4.457 0.567
2.602 -1.425 3.469
-1.890 -2.234 3.503
Cd Cu Si Ta
1 1 1 1
direct
0.250 0.250 0.250
0.750 0.750 0.750
0.000 0.000 0.000
0.500 0.500 0.500
```

Values from the calculation:
energy relative to the lowest polymorph listed for this composition	0.342	eV/atom
DFT total energy	-18.8	eV per cell
ρ	9.51	g/cm3

***

Record 6
TbPr2In3PtAu2: relaxed, GGA-PBE.

Cell and atoms, written as POSCAR:
```
TbPr2In3PtAu2
1.0
-3.325 -2.172 -0.737
4.436 -5.989 -2.365
-2.058 0.600 7.520
Au In Pr Pt Tb
2 3 2 1 1
direct
0.500 0.664 0.341
0.500 0.341 0.664
0.500 0.251 0.251
0.500 0.999 0.748
0.500 0.748 0.999
0.000 0.406 0.000
0.000 0.000 0.406
0.000 0.994 0.994
0.000 0.598 0.598
```

Values from the calculation:
DFT total energy	-42.3	eV per cell
ρ	10.66	g/cm3

***

Record 7
Ta4Al9: relaxed, GGA-PBE.

Cell and atoms, written as POSCAR:
```
Ta4Al9
1.0
2.538 1.465 9.493
-2.538 1.465 9.493
0.000 -2.931 9.493
Al Ta
9 4
direct
0.000 0.000 0.000
0.587 0.092 0.092
0.092 0.587 0.092
0.166 0.166 0.166
0.908 0.908 0.413
0.092 0.092 0.587
0.834 0.834 0.834
0.908 0.413 0.908
0.413 0.908 0.908
0.352 0.352 0.352
0.453 0.453 0.453
0.547 0.547 0.547
0.648 0.648 0.648
```

Values from the calculation:
Here the page continues.

Consider the accessibility of the planting site. Make sure the fig tree is within easy reach for pruning and harvesting.

_Here the article breaks off for crystal structures_
-- begin --
A relaxed Li2WAu crystal, computed with GGA-PBE.

The structure in CIF format:
```
data_Li2WAu
_chemical_formula_sum 'Li2 W1 Au1'
_cell_length_a 2.6504
_cell_length_b 4.6871
_cell_length_c 5.0752
_cell_angle_alpha 90.00
_cell_angle_beta 92.07
_cell_angle_gamma 90.00
_symmetry_space_group_name_H-M 'P 1 2/m 1'
_symmetry_Int_Tables_number 10
loop_
_symmetry_equiv_pos_as_xyz
'x,y,z'
'-x,-y,-z'
'-x,y,-z'
'x,-y,z'
loop_
_atom_site_label
_atom_site_type_symbol
_atom_site_fract_x
_atom_site_fract_y
_atom_site_fract_z
_atom_site_occupancy
Li1 Li 0.1245 0.0000 0.2403 1
W1 W 0.5000 0.5000 0.0000 1
Au1 Au 0.0000 0.5000 0.5000 1
```

Results
Offset from the most stable computed form: 0.1501 eV/atom
Calculated total energy: -19.09 eV per formula unit

***

A relaxed NiHg3Mo crystal, computed with GGA-PBE.

The structure in CIF format:
```
data_NiHg3Mo
_chemical_formula_sum 'Ni1 Hg3 Mo1'
_cell_length_a 4.9461
_cell_length_b 4.9461
_cell_length_c 4.9461
_cell_angle_alpha 90.00
_cell_angle_beta 90.00
_cell_angle_gamma 90.00
_symmetry_space_group_name_H-M 'P m -3 m'
_symmetry_Int_Tables_number 221
_symmetry_space_group_name_Hall '-P 4 2 3'
loop_
_atom_site_label
_atom_site_type_symbol
_atom_site_fract_x
_atom_site_fract_y
_atom_site_fract_z
_atom_site_occupancy
Ni1 Ni 0.0000 0.0000 0.0000 1
Hg1 Hg 0.0000 0.0000 0.5000 1
Mo1 Mo 0.5000 0.5000 0.5000 1
```

Results
Calculated total energy: -12.68 eV per formula unit

***

A relaxed Ca4AlHg2 crystal, computed with GGA-PBE.

The structure in CIF format:
```
data_Ca4AlHg2
_chemical_formula_sum 'Ca12 Al3 Hg6'
_cell_length_a 5.2839
_cell_length_b 5.2839
_cell_length_c 26.1286
_cell_angle_alpha 90.00
_cell_angle_beta 90.00
_cell_angle_gamma 120.00
_symmetry_space_group_name_H-M 'R -3 m'
_symmetry_Int_Tables_number 166
_symmetry_space_group_name_Hall '-R 3 2"'
loop_
_atom_site_label
_atom_site_type_symbol
_atom_site_fract_x
_atom_site_fract_y
_atom_site_fract_z
_atom_site_occupancy
Ca1 Ca 0.0000 0.0000 0.1249 1
Ca2 Ca 0.0000 0.0000 0.3754 1
Al1 Al 0.0000 0.0000 0.0000 1
Hg1 Hg 0.0000 0.0000 0.2511 1
```

Results
Calculated total energy: -14.81 eV per formula unit

***

A relaxed Zn3AsF crystal, computed with GGA-PBE.

The structure in CIF format:
```
data_Zn3AsF
_chemical_formula_sum 'Zn3 As1 F1'
_cell_length_a 4.4188
_cell_length_b 4.4188
_cell_length_c 4.4188
_cell_angle_alpha 90.00
_cell_angle_beta 90.00
_cell_angle_gamma 90.00
_symmetry_space_group_name_H-M 'P m -3 m'
_symmetry_Int_Tables_number 221
_symmetry_space_group_name_Hall '-P 4 2 3'
loop_
_atom_site_label
_atom_site_type_symbol
_atom_site_fract_x
_atom_site_fract_y
_atom_site_fract_z
_atom_site_occupancy
Zn1 Zn 0.0000 0.0000 0.5000 1
As1 As 0.5000 0.5000 0.5000 1
F1 F 0.0000 0.0000 0.0000 1
```

Results
Formation energy from raw total energies: -0.134 eV per atom
Offset from the most stable computed form: 0.0000 eV/atom
Calculated total energy: -11.01 eV per formula unit

***

A relaxed Li2CaMnHg crystal, computed with GGA-PBE.

The structure in CIF format:
-- stop --
_The article goes on_


7. Avoid a site with competing vegetation

Choose a planting site without competing vegetation as it can hinder the growth and development of the fig tree. Before planting, remove any existing bushes, weeds or grass around the site. Mulch in the form of wood chips or crushed tree bark will prevent unwanted weed growth and retain moisture.


8. Proximity to other trees and buildings

Choose the planting site so that the fig tree has enough space. It should be at least 2 meters away from other trees to prevent unwanted competition from the roots of neighboring trees and allow full access to sunlight.


9. Soil pH

Fig trees prefer slightly acidic soil with a pH range of 6.0-6.5.


10. Microclimatic influences:

In areas with extreme climates, take advantage of the available microclimate zones that occur in your garden. Choose locations near various heat-absorbing structures, such as building walls or brick fences, as they can create warmer zones for your fig tree. In urban areas, which are known for creating heat islands, the fig plant can thrive even in a very limited space. In the Dlhé Diely housing estate in Bratislava, you will find a fig tree thriving in the middle of the urban heat island. One can marvel at the sight of a healthy fig tree full of fruit in the middle of concrete.


Remember that fig trees are extremely adaptable and often thrive in less than ideal conditions. However, by choosing the right planting site with optimal conditions, you can promote healthy growth, fruit production and overall vitality of your hardy fig tree.
It is important to consult with local gardeners for specific recommendations for planting a fig tree in your specific region or climate. They can provide you with valuable insights and advice as they can take into account the specific conditions in your area.